## To do
Filter the entries further below: keep the lines with the word "PBE".

## Entries
/*
# 1
A relaxed Mg3P2O12 crystal. Source: the Materials Project database, functional PBE.

```
68
Lattice="4.306 -8.730 0.000 4.306 8.730 0.000 0.000 0.000 13.254" Properties=species:S:1:pos:R:3 pbc="T T T"
O 7.356 1.401 4.470
O 6.542 -3.939 5.010
O 4.306 3.091 6.537
O 1.262 -0.918 6.228
O 6.297 0.874 9.838
O 6.353 4.403 7.777
O 7.356 -1.401 11.097
O 4.306 -5.685 0.140
Mg 4.306 -4.332 1.712
O 2.070 -3.939 5.010
O 4.306 7.686 8.897
P 4.306 -6.942 3.678
Mg 4.306 4.332 8.339
O 4.306 -7.650 7.991
O 4.306 1.116 12.029
O 2.070 3.939 11.637
O 1.256 -1.401 11.097
O 6.297 -0.874 3.211
O 6.542 3.939 11.637
O 5.566 1.548 2.019
O 5.565 -0.919 0.294
Mg 6.868 -0.131 8.087
Mg 5.996 0.076 5.067
O 7.350 -0.918 6.228
P 4.306 -1.865 9.458
O 1.256 1.401 4.470
O 4.306 -1.116 5.402
O 4.306 1.054 4.202
O 2.315 0.874 9.838
O 2.259 4.403 7.777
O 2.315 -0.874 3.211
P 4.306 6.993 5.904
Mg 6.868 0.131 1.460
O 4.306 -3.091 13.164
O 3.047 0.919 6.921
O 4.306 -2.171 2.171
Mg 1.744 0.131 1.460
O 4.306 -7.686 2.270
O 4.306 2.171 8.798
P 4.306 1.865 2.831
O 4.306 5.685 6.767
O 7.350 0.918 12.855
Mg 1.744 -0.131 8.087
O 2.259 -4.403 1.150
O 6.353 -4.403 1.150
O 5.565 0.919 6.921
Mg 2.616 -0.076 11.694
O 3.046 -1.548 8.646
O 3.046 1.548 2.019
O 4.306 6.472 4.438
O 3.047 -0.919 0.294
O 4.306 -5.449 3.335
O 4.306 -3.335 9.915
Mg 4.306 4.386 4.961
O 4.306 3.335 3.288
P 4.306 -6.993 12.531
O 4.306 -6.472 11.065
O 1.262 0.918 12.855
P 4.306 6.942 10.305
O 5.566 -1.548 8.646
O 4.306 7.650 1.364
O 4.306 5.449 9.962
P 4.306 -1.725 0.668
Mg 4.306 -4.386 11.588
Mg 2.616 0.076 5.067
P 4.306 1.725 7.295
O 4.306 -1.054 10.829
Mg 5.996 -0.076 11.694
```

Output
Energy of formation (kJ/mol of formula units): -3039.7
Total magnetization (μB per cell): 31.998

# 2
A relaxed NdAgPb crystal. Source: the Materials Project database, functional PBE.

```
6
Lattice="-3.024 1.929 -3.419 4.843 -0.400 -0.970 -1.347 -7.310 -3.105" Properties=species:S:1:pos:R:3 pbc="T T T"
Ag -1.737 -6.090 -5.679
Nd -4.073 -3.790 -5.846
Pb -1.194 -3.019 -4.384
Ag 2.209 0.309 -1.815
Nd 4.544 -1.991 -1.648
Pb 1.665 -2.762 -3.110
```

Output
Energy of formation (kJ/mol of formula units): -68.6
Total magnetization (μB per cell): 0.006

# 3
A relaxed LaMg14Mn crystal. Source: the Materials Project database, functional PBE.

```
16
Lattice="6.545 0.000 0.000 -3.273 5.668 0.000 0.000 0.000 10.277" Properties=species:S:1:pos:R:3 pbc="T T T"
Mg -1.648 4.717 1.285
Mg 3.273 1.813 6.423
Mg 3.273 3.779 8.926
Mg 0.000 3.777 9.124
Mg 1.570 4.762 6.423
Mg 3.273 3.779 3.920
Mg 4.911 0.946 9.124
Mg 1.648 4.717 1.285
Mg 0.000 3.777 3.722
Mn 0.000 1.889 1.285
La 0.000 1.889 6.423
Mg 1.635 0.946 9.124
Mg 4.911 0.946 3.722
Mg 1.635 0.946 3.722
Mg -1.570 4.762 6.423
Mg 3.273 1.903 1.285
```

Output
Energy of formation (kJ/mol of formula units): 122.1
Total magnetization (μB per cell): 4.758
Distance to the lowest polymorph of the same formula (meV per atom): 10

# 4
A relaxed Ho3CuSiS7 crystal. Source: the Materials Project database, functional PBE.

```
24
Lattice="4.925 -8.530 0.000 4.925 8.530 0.000 0.000 0.000 5.704" Properties=species:S:1:pos:R:3 pbc="T T T"
Ho 6.972 1.112 4.235
Cu 0.000 0.000 3.949
Si 4.925 -2.843 4.741
S 6.755 3.561 2.748
S 6.461 -4.069 5.600
S 5.252 6.319 1.206
S 5.218 -0.899 5.600
Ho 2.878 -1.112 1.383
S 8.098 -1.388 4.058
S 3.095 -3.561 5.600
S 4.925 -2.843 2.626
Ho 4.449 -5.482 1.383
Ho 2.402 1.936 4.235
Ho 7.448 -1.936 1.383
S 4.631 0.899 2.748
Si 4.925 2.843 1.889
Ho 5.400 5.482 4.235
S 1.751 1.388 1.206
S 3.388 4.069 2.748
Cu 0.000 0.000 1.097
S 7.771 0.822 1.206
S 2.078 -0.822 4.058
S 4.925 2.843 5.478
S 4.598 -6.319 4.058
```

Output
Energy of formation (kJ/mol of formula units): -2088.7
Total magnetization (μB per cell): 0.000
Piezoelectric modulus e_max (C/m2): 1.67

# 5
A relaxed Y14Ge4O29F5 crystal. Source: the Materials Project database, functional PBE.

```
52
Lattice="-5.638 0.007 0.001 -1.930 -10.843 0.004 -0.001 -0.004 12.227" Properties=species:S:1:pos:R:3 pbc="T T T"
*/

## Here it is
A relaxed Mg3P2O12 crystal. Source: the Materials Project database, functional PBE.
A relaxed NdAgPb crystal. Source: the Materials Project database, functional PBE.
A relaxed LaMg14Mn crystal. Source: the Materials Project database, functional PBE.
A relaxed Ho3CuSiS7 crystal. Source: the Materials Project database, functional PBE.
A relaxed Y14Ge4O29F5 crystal. Source: the Materials Project database, functional PBE.